副研究員,計算數學與科學工程計算研究所,中國科學院,2008 – 現在。研究人員(Research associate),霍華德休斯醫學研究所,2006 - 2008.
博士後, 加州大學聖地亞哥分校化學與生物化學系, 2003 - 2006.
訪問學生, 義大利,底里亞斯特國際理論物理中心(ICTP), 1999.6-1999.9
助教,雲南農業大學,昆明,中國, 1993-1997. 教育經歷
1997 - 2002, 博士,生物化學與分子生物學,中國科技大學,合肥,中國
1989 - 1993, 學士,物理學,華東師範大學,上海,中國
計算生物物理/化學。現在主要集中於生物分子體系及其溶劑化效應的連續模擬,數值方法與軟體的發展,以及蛋白質的分子動力學模擬的研究上。 專業活動學士刊物評審:
Journal of Computational Physics, Biophysical Journal, Physical Chemistry Chemical Physics, Journal of Chem. Phys., Communications in Computational Physics, Journal of Phys. Chem. A, B.等的審稿人。
組委會主席(Co-Chair),會議主席(Co-Chair):國際生物分子連續模擬方法會議(WCMB), 九月14日-16日, 2009, 北京,中國。
國際生物分子連續模擬方法會議(WCMB),中國科學院數學與系統科學研究院,2009年9月14-17日,北京 計算與套用數學前沿研討會,2009年8月9-10日, 清華大學,北京,2009.Continuum modeling of electrodiffusion around single molecule, KITPC Workshop on "Dynamics and Biomolecular Machinery", Jul 29-Aug 10, 2009, 中國科學院-卡弗里理論物理研究所(Kavli Institute for Theoretical Physics),2009-7-29.
2009 SIAM Annual Meeting, July 6-10, Denver, Colorado, July 10, 2009.
分子模擬中的自由能計算方法,北京基因研究所, 中國科學院, 北京,2009-5-8
生物分子體系的電擴散模型, 清華大學周培源套用數學中心,2008.-12-15.
序列報告(I, II, III), 計算數學與科學工程計算研究所,中國科學院,北京,2008十二月8, 11, 17日。
Modelling of Electrostatics and Diffusion Processes in Biological Systems, Frontiers in Science (FIS) program -- Integrated Physics, Biology, Chemistry, Mathematics and Computer Science, a CTBP-CSUSM Seminar Series, California State University San Marcos, Sept. 25, 2008.
Fully-continuum diffusion -- the Poisson-Nernst-Planck model and some extensions, the 2008 CTBP Summer School, Coarse-Grained Physical Modeling of Biological Systems: Advanced Theory and Methods, San Diego, CA, August 11-15, 2008.
Continuum modeling of electrodiffusion: from equlibrium to nonequilibrium states,Dept. of Molecular Biology & Biochemistry, University of California at Irvine, 4/25/08.
Informal Seminars on Mathematics and Biochemistry-Biophysics, "Boundary integral methods for electrostatics in biomolecules: An overview", 4/8/08, 2008; And "Electrodiffusion", 10/2/07, 2007. Department of Mathematics, UCSD.
"Toward more efficient and accurate continuum modeling",2007-12-22, 北京工業大學。
Cyberinfrastructure and multiscale modeling approaches,NBCR (National Biomedical Computation Resource) Summer Institute 2006, La Jolla, California, August 7-11 August, 2006
"Electrostatics, density distribution, and diffusion - A continuum modeling frame with realistic spatiotemporal resolution" on March 7, 2007 at the Biophysical Society 51st Annual Meeting . Baltimore, Maryland, MD, March 3-7, 2007.
"Accelerating computations to order N for electrostatic interactions of biomolecular systems" on Sep. 11, 2006 at the 232nd ACS National Meeting, San Francisco, CA, September 10-14, 2006.
Molecular data from another source follow.
(1)
60
Properties=species:S:1:pos:R:3 method="wB97M-V/def2-TZVPD" relative_energy_ev=1.4206 orbital_gap_ev=8.90 lumo_energy_ev=0.36 smiles="CNC(=O)[C@H](Cc1ccc(O)cc1)NC(C)=O.c1ccc(Cn2cnc3ncccc32)cc1" homo_energy_ha=-0.314 e_tot_ev=-39957.0849 total_charge=0
O 3.2318 -6.5826 -2.0120
O 3.2643 -2.7637 1.1044
N -0.6819 8.0092 0.1461
N 1.4608 6.9426 -0.1065
O -0.5073 0.8928 -1.0670
C 3.1577 -6.9339 -0.8434
C 2.7083 -3.8468 1.2269
C -1.8882 7.6381 -0.2094
C 2.1069 5.8652 -0.5824
C 0.1378 6.9846 -0.2846
C 1.4518 4.8146 -1.2447
C -4.3242 2.9239 1.7460
C -4.8130 4.2337 1.7416
C -3.4426 2.5051 0.7458
C 0.5704 -1.0574 -1.9520
C -0.6308 -1.1611 0.1732
C 0.0698 4.8680 -1.4300
C -4.4188 5.1257 0.7384
C -3.0495 3.3973 -0.2567
C 0.9345 -2.4104 -1.8109
C -0.2705 -2.5165 0.3080
C -0.2012 -0.4271 -0.9546
C -0.5872 5.9876 -0.9250
C -3.5314 4.7156 -0.2686
C 0.5228 -3.1381 -0.6779
N 2.4022 -4.2589 2.4661
N -1.8977 6.4129 -0.8696
N 2.7744 -6.1284 0.1459
C 3.5118 -8.3508 -0.4557
C 1.6964 -5.4630 2.9077
C -3.0832 5.6814 -1.3374
C 0.9790 -4.5743 -0.5044
C 2.4372 -4.7083 -0.0265
H -0.6225 1.2992 -0.2071
H -2.7793 8.2243 -0.0069
H 3.1825 5.8073 -0.4474
H 2.0257 3.9688 -1.6078
H -4.6333 2.2317 2.5235
H -5.4960 4.5594 2.5210
H -3.0713 1.4848 0.7423
H 0.8937 -0.4882 -2.8104
H -1.2252 -0.6814 0.9344
H -0.4623 4.0722 -1.9425
H -4.8025 6.1415 0.7518
H -2.3698 3.0583 -1.0323
H 1.5469 -2.8869 -2.5651
H -0.5843 -3.0723 1.1802
H 2.6727 -3.5982 3.1799
H 2.7689 -6.4995 1.0793
H 3.8784 -8.8736 -1.3387
H 4.2898 -8.3356 0.3050
H 2.6243 -8.8540 -0.0774
H 2.3872 -6.3052 2.9614
H 0.8726 -5.7032 2.2355
H 1.2842 -5.2953 3.9042
H -2.8457 5.1435 -2.2607
H -3.8892 6.3829 -1.5742
H 0.3141 -5.0739 0.1986
H 0.8756 -5.0831 -1.4639
H 3.0748 -4.3007 -0.8134

---

(2)
69
Properties=species:S:1:pos:R:3 method="wB97M-V/def2-TZVPD" relative_energy_ev=0.0000 orbital_gap_ev="6.34 / 6.54" lumo_energy_ev="4.40 / 4.40" multiplicity=3 homo_energy_ha="-0.071 / -0.079" e_tot_ev=-87128.6350 total_charge=-2
Ti -0.8960 -0.0625 0.4790
O -0.1687 1.5522 4.3606
C -0.1257 0.9870 3.2713
O -0.5109 1.4194 2.1340
C 0.5291 -0.3882 3.1764
C 1.2276 -1.0477 4.1705
C 1.9330 -2.1945 3.8160
C 1.9882 -2.5928 2.4859
C 1.2660 -1.8714 1.5527
N 0.4974 -0.8588 1.9384
C 1.4010 -1.9181 0.0371
O 2.1490 -2.7475 -0.4705
O 0.7899 -0.9473 -0.5220
H 1.2365 -0.6453 5.1739
H 2.4874 -2.7417 4.5698
H 2.6053 -3.4164 2.1541
C -1.5581 2.4808 -4.1793
O -1.6697 1.2094 -3.5348
C -1.1829 1.0762 -2.2984
O -1.3864 0.0271 -1.6978
N -0.4323 2.0810 -1.8038
N -0.0655 1.8642 -0.4603
H -2.0432 2.3594 -5.1438
H -0.5168 2.7678 -4.3246
H -2.0591 3.2553 -3.5997
H -0.3929 3.0954 -2.1196
H -0.4186 2.6089 0.1343
H 0.9463 1.8450 -0.3893
N 0.2561 7.8925 -6.8076
C 0.0960 7.0843 -5.6287
C 1.0532 6.1428 -5.2739
C 0.8916 5.3330 -4.1582
C -0.2553 5.4085 -3.3267
C -1.2213 6.3668 -3.7267
C -1.0430 7.1777 -4.8378
S -3.8055 1.8994 -0.6213
O -0.4208 4.6591 -2.2873
O -5.1204 1.2679 -0.9195
N -2.9169 0.9967 0.4145
C -3.3650 0.6557 1.6303
N -4.4716 1.1724 2.2033
C -4.7188 0.7749 3.4400
"Molecular Simulations of Protein Kinase A: Release of ADP from the catalytic subunit of PKA: A MD simulation study" on July 12, 2005 at ICAM Frontiers of Science Symposium: Signal Transduction and Protein Phosphorylation, UC San Diego, CA.